1. Overview

IfATE is committed to delivering for employers. To help us, organisations can apply to be part of our directory of professional and employer-led bodies (the ‘employer directory’).

Professional, employer-led and occupational bodies that have a role in maintaining standards of occupational competence and an interest in skills development should apply.

What does an employer directory organisation (EDO) do?

We invite EDOs to provide occupational expertise for a range of products and purposes. This will ensure apprenticeship assessment and technical qualifications are relevant to the occupation.

We hold regular events to bring together EDOs and share information. These events also provide an opportunity for networking among the employer directory organisations.

# Here the text breaks off for data records
┌──
C6H6 | ωB97M-V/def2-TZVPD

The geometry in XYZ format:
```
12
Properties=species:S:1:pos:R:3:forces:R:3
C 1.240525 0.965135 -2.512955 0.09 -0.05 -0.63
C -0.725196 -0.263904 -0.940083 0.56 -0.40 -0.26
C 0.195185 -0.027947 0.407382 -0.83 -1.11 -4.84
C 0.485891 0.299947 -1.733196 -0.40 -0.65 1.40
C 1.189501 0.452065 -0.372922 -2.58 -0.93 0.54
C -0.316151 -0.371923 1.716613 -2.23 0.51 -1.54
H 0.345394 -0.378827 2.472738 2.53 0.21 2.63
H -1.048694 0.426184 1.883664 -0.30 -0.38 0.53
H 2.034886 0.988708 -0.229149 2.67 1.18 0.84
H -1.162042 -1.297090 -1.300307 1.08 2.02 0.97
H -0.802389 -1.348814 1.710264 -0.17 0.15 -0.18
H -1.436910 0.556466 -1.102049 -0.45 -0.56 0.52
```
Positions in Å, forces in eV/Å.

Relative energy (zero: lowest compared OMol25 entry of this formula, charge and spin) (kJ/mol): 627.0
Gap between HOMO and LUMO (eV): 9.30
Strongest force on any atom (Eh/bohr): 0.0978
HOMO energy (eV): -8.92
LUMO (eV): 0.374

C3H11NOS2 | ωB97M-V/def2-TZVPD

The geometry in XYZ format:
```
18
Properties=species:S:1:pos:R:3:forces:R:3
S -1.244381 2.140619 -2.434216 2.55 1.60 -0.02
S 0.303008 2.156737 -0.928887 -2.56 2.33 0.17
O -5.729242 -2.916615 0.815829 -3.11 0.49 1.62
N 1.529068 -0.557924 2.005277 -0.96 -0.94 -0.54
C 2.345731 0.724704 -0.173579 -0.48 -2.68 -0.01
C 1.334006 -0.318329 0.485363 -2.62 1.50 2.73
C 1.668166 1.197528 -1.423289 0.56 0.34 -3.84
H 2.269572 1.741052 -2.276402 -0.57 -0.84 2.10
H 1.219951 0.196217 2.592354 0.12 1.02 -0.28
H 0.882726 -1.304970 2.403337 1.16 0.78 -1.43
H 3.167229 0.009559 -0.411500 -0.01 1.16 -0.01
H 2.715183 1.582118 0.379305 -0.16 -0.23 0.61
H 1.130116 0.449516 -2.001849 0.63 -0.93 0.14
H -1.949184 1.171112 -2.006296 -1.06 -1.75 0.88
H -5.016676 -2.416948 1.117293 3.09 0.98 0.00
H 1.539239 -1.274487 0.108296 0.38 -1.18 -0.96
H -6.317094 -2.469994 1.510161 0.02 -1.47 -1.62
H 0.152586 -0.109900 0.238810 3.04 -0.17 0.48
```
Positions in Å, forces in eV/Å.

Relative energy (zero: lowest compared OMol25 entry of this formula, charge and spin) (kJ/mol): 193.3
SMILES string: NCCCSS.O
Gap between HOMO and LUMO (eV): 9.09
Strongest force on any atom (Eh/bohr): 0.0791
HOMO energy (eV): -8.83
LUMO (eV): 0.259

C3H7N2 | ωB97M-V/def2-TZVPD

The geometry in XYZ format:
```
12
Properties=species:S:1:pos:R:3:forces:R:3
N 0.381351 -1.792619 1.454401 -1.60 -1.45 2.05
N -1.061633 0.981345 -0.458336 -2.14 0.11 0.08
C 0.466292 -0.843881 0.684130 -0.18 -0.75 -1.03
C 1.093374 -0.506551 -0.579987 -0.23 0.96 -0.62
C 0.239246 0.495043 0.163502 0.01 2.24 1.23
H -1.060464 1.950544 -0.884611 0.51 -1.15 0.61
H -0.350246 -1.805262 2.231572 1.37 0.60 -1.18
H 0.802731 1.253233 0.775296 -1.02 -0.36 -0.97
H 0.684759 -0.784778 -1.524282 -0.81 -1.02 -0.36
H 2.085133 -0.253636 -0.798361 1.60 0.35 0.43
H -1.949714 0.970357 0.173186 2.08 0.00 -0.80
H -1.330830 0.336206 -1.236509 0.39 0.49 0.55
```
Positions in Å, forces in eV/Å.

Relative energy (zero: lowest compared OMol25 entry of this formula, charge and spin) (kJ/mol): 237.9
└──

We share consultations and let organisations know about key policy and other developments. Employer directory organisations can then share this information with their own networks.

Organisations can apply to support IfATE, Ofqual and the Office for Students (OfS) in the external quality assurance (EQA) of apprenticeship assessments. Further details about the role of EDOs in supporting EQA activity are in Annex 2.

Organisations who cannot support EQA activity can still apply. They can provide advice to IfATE on other products and attend our events.

If you would like to apply, please complete an application, or email us to discuss further.


2. Membership criteria

We seek to partner with industry recognised professional organisations. We will assess an organisation’s application on three overarching criteria:

  • it represents employers from across the occupation, or represents an occupation or sector
  • it has the experience and the capability to fulfil its role as an occupational expert or source of occupational expertise
  • it declares any actual or potential conflict of interest. There must be no conflict of interest for EQA activities

Annex 1 provides further information on the membership criteria and the evidence required. 


3. How to apply

Application process for organisations

Organisations should check they meet the membership criteria and then complete an application.

Applications are always open and there are no set submission dates.

We will assess the application against the membership criteria. If we need more information, we will contact the organisation and provide support.

We will then make a recommendation to a decision panel of deputy directors. The decision panel meets every month. It decides whether to approve the application, approve with conditions, or refuse it.

We will confirm the panel’s decision in writing. We will explain the reasons if the panel refuses an application.

We will usually seek advice on an organisation’s suitability and capability to support EQA activity. We will ask the product manager or trailblazer for their input. This is because trailblazer groups are reflective of those who employ people in a particular occupation.

All approved organisations are required to attend an induction session.

There is no appeals process. If a trailblazer wishes to challenge a final decision of IfATE relating to the employer directory, it can do so via procedural review.


4. Payment

Activity to support Ofqual and the OfS in the EQA of apprenticeship assessment is paid. Ofqual or the OfS will discuss the work and payment arrangements with the organisation.

The volume of EQA activity will vary and depends on a variety of factors. These include:

  • the number of end-point assessment organisations active against a particular standard
  • long-term priorities in the plan of EQA activity
  • any specific needs for more frequent EQA

Following the completion of the activity, Ofqual or the OfS will issue payment.

There is no fee for being a member of the employer directory.

IfATE does not expect to make payments to EDOs for work on non EQA activity. 


5. Annex 1: application form guidance


When they apply, organisations must explain how they meet three overarching criteria. These are:


a. They represent employers from across the occupation, or represent an occupation or sector

Organisations on the employer directory must:

  • have been established for purposes which are relevant to the required activities
  • have credibility with employers 

and will usually have ongoing relationships with industry. 

Although this list is not exhaustive, we expect applications from:

  • organisations regulating entry to, and exit from, a particular profession
  • trade associations made up of (and funded by) members who are employers in a given sector
  • Chartered Institutes, whose members are individual professionals in a given sector
  • guild or livery companies
  • organisations with an established industry levy
  • intermediary bodies. These to have a focus on supporting skills development and representing a sector
  • professional membership bodies recognised as setting standards for that profession

Evidence required:

Applicants must explain how their organisation represents the sector or profession. Organisations can provide a range of evidence to do this. For example:

  • their governance structure
  • oversight responsibilities
  • details of any charters granted
  • relevant statutory functions
  • board members with roles across a range of employers
  • range of employers worked with
  • number of members from across the sector

b. The organisation has the experience and the capability to fulfil its role as an occupational expert. It can source individuals with appropriate skills and experience

Evidence required:

Applicants must explain their organisation’s ability to carry out the selected functions. They can describe their experience, any accreditation they offer and their reach across the sector. They can provide an organisational structure and explain the role of industry boards or committees they may use.

Access to appropriate individuals:

We will also ask the organisation about the individuals they will use. We do not need to know names. Organisations will need to assure IfATE they can provide individuals with:

  • recent and close experience of the occupation
  • an industry-wide perspective
  • an understanding of assessing best practice or expertise acquired through significant time in the industry

Individuals must be impartial with no conflict of interest. They must have sound judgement and able to deal with complex issue on time.  Individuals may be sought from staff, the organisation’s membership or other networks.

Organisations do not need to identify individuals at the point of application. They will need to explain:

  • how they will source these individuals and assess their suitability
  • the training or professional development individuals have to ensure current knowledge
  • how they ensure individuals have no conflict of interest

Individuals supporting Ofqual or OfS with EQA activity do so on behalf of the organisation.  The organisation is accountable for the quality of that work. 


c. There is no conflict of interest that would prevent the organisation from operating in this role

There are two types of conflict of interest:

  1. An actual conflict. A conflict (financial or otherwise) which has arisen between an organisation’s (or individual’s) employer directory duties and their other interests
  2. A potential (or perceived) conflict. Where an actual conflict is foreseeable but uncertain (and not yet actual)  
    Both organisations and individuals could have a conflict of interest. Organisations and/or individuals cannot carry out EQA activity where the conflict is:
  • material
  • and cannot be mitigated

Organisations must disclose any actual or potential conflicts of interest when applying. If there is a conflict, IfATE will assess this from the information in the application form. We will also consider any other relevant material available.

Organisations have an ongoing responsibility to disclose conflicts of interest to IfATE. Individuals may also need to comply with conflict of interest obligations as required by Ofqual or the OfS.

For further advice about conflicts of interest, please email us.

Organisational conflicts

Many organisations are already involved in different parts of the technical education system. This could be in the areas including:

  • the development of standards
  • as advisors
  • as training providers
  • as End-Point Assessment (EPA) Organisations

All organisations must consider and declare any conflicts of interest at the point of application. They must keep this under review and let us know of any changes.

There are instances where a conflict of interest is too great for the organisation to take part in EQA. For example, a body that has registered to deliver EPA for a particular standard(s) cannot also carry out work to support EQA for the standard.
Other examples of organisational conflicts of interest for EQA activity include:

  • a registered apprenticeship training provider. These organisations may only support on standards for which they do not deliver training. This ensures independence and protects all parties against any claims of bias
  • an organisation associated with another that offers apprenticeship training or EPA. Here, IfATE will request assurance on independence and make a judgement on conflicts of interest. For example, if an organisation has a subsidiary that carries out EPA, we will ask about the relationship with the rest of the organisation. This could include: the type of information that is shared, how and where the organisation will source individuals for EQA activity

Individual conflicts

Organisations must consider conflicts for any individuals they put forward for any activity. They must also ensure that individuals understand:

  • what an actual or potential conflict is
  • what they need to declare and in what circumstances

Examples of individual conflicts of interest include:

  • having a financial or any other personal interest in the outcome of the EQA activity for a particular standard
  • working (as a staff member or volunteer) for an organisation providing EPA services for a particular standard
  • receiving any kind of monetary payment, non-monetary gift or incentive (including hospitality) from any organisation due or having EQA activity carried out
  • canvassing, or negotiating with any person with a view to entering into any of the arrangements outlined above
  • having a member of their family (which includes unmarried partners) who fall into any of the categories outlined above

Disclosure required:

Organisations must declare any organisational and individual conflicts of interest as part of the application process. They must confirm their agreement to the statements contained within the application form. IfATE expects an organisation to disclose any change in its position as soon as possible.

Failure to disclose a material conflict of interest could result in removal from the employer directory.


6. Annex 2: Applications from organisations that can support EQA


Ofqual and the Office for Students (OfS) deliver EQA of end-point assessment, in line with IfATE's EQA Framework. The employer directory:

  • supports IfATE’s commitment to maintain employer voice and industry input in the evaluation of end-point assessment
  • gives evaluation of the quality of apprenticeship assessment added credibility
  • provides assurance that apprenticeship assessment is a genuine test of occupational competence

IfATE manages the recruitment and approval of organisations to the employer directory. Ofqual or the OfS work with the organisations to commission and carry out activity in support of EQA.

Organisations who can provide support in the following areas should apply.


EQA support during delivery

A. Scrutiny of the end-point assessment and support materials produced by the EPAO

As part of readiness checks, Ofqual or the OfS will undertake a technical review of the assessment materials.

Ofqual or the OfS will focus on the reliability of the materials from an assessment perspective. Experts from the employer directory can support them and provide an employer perspective. They can ensure the materials provide a relevant and up-to-date assessment of occupational competence.


B. Insight and intelligence to support prioritisation and targeting of EQA activities

Employer directory organisations can provide employer-centric insights and intelligence. These may be on developments within their sector relevant to the delivery of the end-point assessment, for example:

  • changes to workplace practices. These may impact upon the standard, end-point assessment plan or end-point assessment materials,
  • insights and intelligence that will inform prioritisation and targeting of EQA activities


C. Operational activity. Confirming that quality end-point assessment continues to deliver occupational competence

As part of ongoing monitoring, Ofqual or the OfS will review end-point assessment delivery in various ways. This includes, but is not limited to, the observation of live assessment.

They may draw on expertise from the employer directory to help them. The experts can confirm if the way end-point assessment materials are being put into practice provides a relevant and up-to-date assessment of occupational competence.
For example:

  • that workplace simulations provide a realistic environment. Apprentices carry out the sort of tasks that would be undertaken at the level of the occupation
  • that apprentices awarded grades above a pass are more likely to perform better in the workplace.  (Rather than only achieving a higher level of academic attainment)


Support to end-point assessment organisations (EPAOs) and feedback to employers

D. Support to EPAOs where specific improvement actions are identified

Ofqual or the OfS may identify that an end-point assessment organisation is not delivering an assessment activity. They may also identify an EPAO is not delivering end-point assessment to the appropriate level.

The organisation on the employer directory could provide support to the EPAO to help them improve.

Examples may include:

  • supporting the improvement of end-point assessment materials. This is to ensure they accurately reflect sector occupational matters
  • signposting CPD for EPAO staff
  • assisting with interpretation of the end-point assessment plan

E. Addressing general trends in end-point assessment delivery

Ofqual or the OfS may draw on employer directory organisations to work alongside them and contribute to EPAO forums and discussion groups. The focus could be how they use EQA to improve assessment.

IfATE would also welcome the organisations on the employer directory being part of a community of learning and interest. This might include:

  • organising or participating in forums and workshops with EPAOs
  • developing and sharing best practice from an employer’s perspective
  • working alongside Ofqual and the OfS to improve best practice
  • engaging with the relevant trailblazer groups operating in their sector. They could provide advice on the development of new apprenticeship standards, gained from their insight in EQA



These are activities outside supporting Ofqual or the OfS with EQA activity.  IfATE would commission and agree these activities as required.


F. High-level advice to IfATE

We may ask employer directory organisations to comment on end-point assessment plans.


Post-delivery evaluation

G. Evaluation and dissemination

IfATE will take the views of employer bodies into account when conducting route reviews of apprenticeship standards and end-point assessment plans.

We also expect the employer directory bodies will provide feedback and insight to employers in their sector. This could include sharing findings and sector-specific reports from EQA organisations. 


Mapping to external standards

H. Confirmation of alignment/mapping to existing professional standards

The organisation may have a role overseeing alignment with an external standard. This work is outside the scope of EQA. It supports the apprenticeship programme and the development of technical education more broadly.

In these cases, the organisation could confirm maintenance of this alignment when the end-point assessment plan is developed or reviewed. They could also confirm the manner in which the end-point assessment is being delivered on an ongoing basis allows this alignment.

IfATE does not currently expect to make payment for any work relating to activities F-H. 


Last updated 13 May 2024
(HB, NS)